[Request]
What is needed: type out all of the material underneath without altering anything.

[Excerpt]
1.
Below is a structure of composition C31H78F3N5O13STi at a distorted geometry, with properties calculated with the ωB97M-V functional and the def2-TZVPD basis.

```
132
Properties=species:S:1:pos:R:3
Ti 0.269 -0.124 -2.238
C 1.619 -0.098 -5.965
F 0.627 -0.007 -6.786
F 2.691 -0.386 -6.664
F 1.775 1.037 -5.320
S 1.249 -1.372 -4.573
O 2.119 -1.010 -3.447
O -0.151 -1.066 -4.096
O 1.331 -2.654 -5.203
C 1.090 3.958 -2.021
C 1.635 2.679 -2.447
O 0.823 1.622 -2.158
H 0.202 4.230 -2.532
H 1.811 4.696 -1.851
H 0.755 3.946 -1.018
H 2.518 2.513 -1.869
H 1.952 2.716 -3.511
C -5.658 1.592 3.464
O -4.719 2.464 2.818
C -3.436 2.084 3.218
C -2.468 3.221 2.932
N -2.490 3.377 1.454
C -1.721 4.595 1.018
C -2.266 5.945 1.292
O -3.487 6.006 0.605
C -4.332 7.039 1.030
H -6.666 1.961 3.357
H -5.482 1.537 4.567
H -5.616 0.564 3.119
H -3.030 1.082 2.788
H -3.439 2.000 4.343
H -1.470 2.910 3.231
H -2.883 4.049 3.509
H -3.506 3.571 1.212
H -1.699 4.459 -0.040
H -0.686 4.581 1.393
H -1.637 6.773 0.859
H -2.368 6.132 2.382
H -5.160 7.000 0.255
H -3.838 7.972 0.999
H -4.787 6.855 1.965
C -2.365 -4.688 0.728
O -1.097 -4.361 1.242
C -0.234 -5.419 1.534
C 0.867 -4.915 2.418
N 1.731 -4.119 1.610
C 3.011 -3.586 2.063
C 3.476 -2.552 1.007
O 2.607 -1.437 1.034
C 3.161 -0.226 0.473
H -2.908 -5.292 1.429
H -2.327 -5.188 -0.229
H -2.846 -3.719 0.620
H 0.267 -5.787 0.655
H -0.778 -6.210 2.052
H 1.424 -5.770 2.788
H 0.476 -4.337 3.242
H 1.156 -3.297 1.284
H 3.734 -4.419 2.204
H 2.884 -3.015 3.024
H 3.592 -3.056 0.002
H 4.474 -2.196 1.280
H 4.086 0.027 1.052
H 2.383 0.506 0.501
H 3.477 -0.365 -0.549
C -0.404 -1.624 5.250
O -1.708 -1.610 4.800
C -2.071 -2.920 4.444
C -3.303 -3.345 5.198
N -4.457 -2.446 5.140
C -5.502 -2.882 6.067
C -6.624 -1.925 6.140
O -7.558 -2.353 5.166
C -8.743 -1.509 5.234
H 0.254 -2.183 4.580
H -0.238 -2.090 6.259
H 0.021 -0.668 5.305
H -1.275 -3.670 4.621
H -2.282 -2.933 3.378
H -2.997 -3.550 6.262
H -3.614 -4.377 4.840
H -4.175 -1.520 5.330
H -5.065 -2.910 7.080
H -5.860 -3.916 5.886
H -6.271 -0.895 5.952
H -7.151 -1.815 7.098
H -8.511 -0.507 4.833
H -9.153 -1.554 6.262
H -9.509 -1.902 4.560
C 6.214 0.651 -7.219
C 6.046 -0.289 -6.084
C 6.722 -1.602 -6.486
O 8.153 -1.469 -6.473
C 8.686 -2.727 -6.324
N 6.585 0.316 -4.911
H 7.233 0.593 -7.622
H 5.890 1.662 -7.037
H 5.738 0.334 -8.147
H 4.949 -0.490 -5.975
H 6.417 -1.967 -7.444
H 6.356 -2.367 -5.812
H 8.270 -3.292 -5.441
H 9.735 -2.690 -6.025
H 8.512 -3.431 -7.213
H 7.577 0.540 -5.001
H 6.425 -0.161 -4.070
C -1.722 -1.258 1.586
C -1.510 -1.088 0.151
C -2.257 0.163 -0.447
O -1.769 0.198 -1.753
C -2.159 1.313 -2.442
N -0.058 -0.957 -0.154
H -1.126 -2.160 1.742
H -2.785 -1.488 1.788
H -1.362 -0.529 2.293
H -2.008 -1.934 -0.455
H -1.994 1.131 0.016
H -3.337 0.059 -0.367
H -3.166 1.567 -2.140
H -2.223 1.169 -3.525
H -1.626 2.237 -2.109
H 0.372 -1.853 -0.055
H 0.268 -0.430 0.662
C 4.546 5.298 -4.064
C 5.463 4.218 -4.506
O 4.916 2.925 -4.309
H 4.129 5.164 -3.078
H 3.661 5.311 -4.705
H 5.043 6.273 -4.124
H 6.392 4.323 -3.941
H 5.633 4.448 -5.563
H 5.649 2.370 -4.443
```

Spin multiplicity = 2
Largest force on an atom = 4.579 eV/A
E_HOMO (spin up / spin down) = -0.388 / -0.388 Eh
Net charge = +1
HOMO-LUMO gap (spin up / spin down) = 7.46 / 7.84 eV

2.
Below is a structure of composition C22H15N3O4SV at a distorted geometry, with properties calculated with the ωB97M-V functional and the def2-TZVPD basis.

```
46
Properties=species:S:1:pos:R:3
V 0.044 0.301 -0.178
O -0.135 -4.446 -1.950
C -1.427 -4.230 -2.106
C -2.304 -5.165 -2.633
C -3.615 -4.807 -2.856
C -4.118 -3.510 -2.555
C -3.293 -2.589 -2.013
C -1.916 -2.922 -1.737
C -1.106 -2.028 -1.110
O -1.420 -0.774 -0.829
N 1.043 -1.066 -0.919
N 1.698 -0.453 0.088
C 2.318 -0.839 1.198
C 2.097 -0.136 2.390
C 2.914 -0.344 3.520
C 2.605 0.269 4.710
C 1.465 1.074 4.801
C 0.623 1.279 3.711
C 0.942 0.693 2.514
O 0.128 0.856 1.433
H 0.124 -5.352 -2.189
H -1.949 -6.155 -2.892
H -4.287 -5.540 -3.287
H -5.156 -3.279 -2.750
H -3.659 -1.609 -1.743
H 2.987 -1.694 1.166

[Result]
1.
Below is a structure of composition C31H78F3N5O13STi at a distorted geometry, with properties calculated with the ωB97M-V functional and the def2-TZVPD basis.

```
132
Properties=species:S:1:pos:R:3
Ti 0.269 -0.124 -2.238
C 1.619 -0.098 -5.965
F 0.627 -0.007 -6.786
F 2.691 -0.386 -6.664
F 1.775 1.037 -5.320
S 1.249 -1.372 -4.573
O 2.119 -1.010 -3.447
O -0.151 -1.066 -4.096
O 1.331 -2.654 -5.203
C 1.090 3.958 -2.021
C 1.635 2.679 -2.447
O 0.823 1.622 -2.158
H 0.202 4.230 -2.532
H 1.811 4.696 -1.851
H 0.755 3.946 -1.018
H 2.518 2.513 -1.869
H 1.952 2.716 -3.511
C -5.658 1.592 3.464
O -4.719 2.464 2.818
C -3.436 2.084 3.218
C -2.468 3.221 2.932
N -2.490 3.377 1.454
C -1.721 4.595 1.018
C -2.266 5.945 1.292
O -3.487 6.006 0.605
C -4.332 7.039 1.030
H -6.666 1.961 3.357
H -5.482 1.537 4.567
H -5.616 0.564 3.119
H -3.030 1.082 2.788
H -3.439 2.000 4.343
H -1.470 2.910 3.231
H -2.883 4.049 3.509
H -3.506 3.571 1.212
H -1.699 4.459 -0.040
H -0.686 4.581 1.393
H -1.637 6.773 0.859
H -2.368 6.132 2.382
H -5.160 7.000 0.255
H -3.838 7.972 0.999
H -4.787 6.855 1.965
C -2.365 -4.688 0.728
O -1.097 -4.361 1.242
C -0.234 -5.419 1.534
C 0.867 -4.915 2.418
N 1.731 -4.119 1.610
C 3.011 -3.586 2.063
C 3.476 -2.552 1.007
O 2.607 -1.437 1.034
C 3.161 -0.226 0.473
H -2.908 -5.292 1.429
H -2.327 -5.188 -0.229
H -2.846 -3.719 0.620
H 0.267 -5.787 0.655
H -0.778 -6.210 2.052
H 1.424 -5.770 2.788
H 0.476 -4.337 3.242
H 1.156 -3.297 1.284
H 3.734 -4.419 2.204
H 2.884 -3.015 3.024
H 3.592 -3.056 0.002
H 4.474 -2.196 1.280
H 4.086 0.027 1.052
H 2.383 0.506 0.501
H 3.477 -0.365 -0.549
C -0.404 -1.624 5.250
O -1.708 -1.610 4.800
C -2.071 -2.920 4.444
C -3.303 -3.345 5.198
N -4.457 -2.446 5.140
C -5.502 -2.882 6.067
C -6.624 -1.925 6.140
O -7.558 -2.353 5.166
C -8.743 -1.509 5.234
H 0.254 -2.183 4.580
H -0.238 -2.090 6.259
H 0.021 -0.668 5.305
H -1.275 -3.670 4.621
H -2.282 -2.933 3.378
H -2.997 -3.550 6.262
H -3.614 -4.377 4.840
H -4.175 -1.520 5.330
H -5.065 -2.910 7.080
H -5.860 -3.916 5.886
H -6.271 -0.895 5.952
H -7.151 -1.815 7.098
H -8.511 -0.507 4.833
H -9.153 -1.554 6.262
H -9.509 -1.902 4.560
C 6.214 0.651 -7.219
C 6.046 -0.289 -6.084
C 6.722 -1.602 -6.486
O 8.153 -1.469 -6.473
C 8.686 -2.727 -6.324
N 6.585 0.316 -4.911
H 7.233 0.593 -7.622
H 5.890 1.662 -7.037
H 5.738 0.334 -8.147
H 4.949 -0.490 -5.975
H 6.417 -1.967 -7.444
H 6.356 -2.367 -5.812
H 8.270 -3.292 -5.441
H 9.735 -2.690 -6.025
H 8.512 -3.431 -7.213
H 7.577 0.540 -5.001
H 6.425 -0.161 -4.070
C -1.722 -1.258 1.586
C -1.510 -1.088 0.151
C -2.257 0.163 -0.447
O -1.769 0.198 -1.753
C -2.159 1.313 -2.442
N -0.058 -0.957 -0.154
H -1.126 -2.160 1.742
H -2.785 -1.488 1.788
H -1.362 -0.529 2.293
H -2.008 -1.934 -0.455
H -1.994 1.131 0.016
H -3.337 0.059 -0.367
H -3.166 1.567 -2.140
H -2.223 1.169 -3.525
H -1.626 2.237 -2.109
H 0.372 -1.853 -0.055
H 0.268 -0.430 0.662
C 4.546 5.298 -4.064
C 5.463 4.218 -4.506
O 4.916 2.925 -4.309
H 4.129 5.164 -3.078
H 3.661 5.311 -4.705
H 5.043 6.273 -4.124
H 6.392 4.323 -3.941
H 5.633 4.448 -5.563
H 5.649 2.370 -4.443
```

Spin multiplicity = 2
Largest force on an atom = 4.579 eV/A
E_HOMO (spin up / spin down) = -0.388 / -0.388 Eh
Net charge = +1
HOMO-LUMO gap (spin up / spin down) = 7.46 / 7.84 eV

2.
Below is a structure of composition C22H15N3O4SV at a distorted geometry, with properties calculated with the ωB97M-V functional and the def2-TZVPD basis.

```
46
Properties=species:S:1:pos:R:3
V 0.044 0.301 -0.178
O -0.135 -4.446 -1.950
C -1.427 -4.230 -2.106
C -2.304 -5.165 -2.633
C -3.615 -4.807 -2.856
C -4.118 -3.510 -2.555
C -3.293 -2.589 -2.013
C -1.916 -2.922 -1.737
C -1.106 -2.028 -1.110
O -1.420 -0.774 -0.829
N 1.043 -1.066 -0.919
N 1.698 -0.453 0.088
C 2.318 -0.839 1.198
C 2.097 -0.136 2.390
C 2.914 -0.344 3.520
C 2.605 0.269 4.710
C 1.465 1.074 4.801
C 0.623 1.279 3.711
C 0.942 0.693 2.514
O 0.128 0.856 1.433
H 0.124 -5.352 -2.189
H -1.949 -6.155 -2.892
H -4.287 -5.540 -3.287
H -5.156 -3.279 -2.750
H -3.659 -1.609 -1.743
H 2.987 -1.694 1.166